Request =
Please type out every line underneath that contains the word "Co2".
Given =
********
Entry 1:
# PBE CeGa4Co9, optimized geometry
data_CeGa4Co9
_symmetry_space_group_name_H-M 'P 1'
_symmetry_Int_Tables_number 1
_symmetry_space_group_name_Hall 'P 1'
_cell_length_a 8.104
_cell_length_b 8.104
_cell_length_c 8.104
_cell_angle_alpha 121.17
_cell_angle_beta 121.17
_cell_angle_gamma 87.99
loop_
_atom_site_label
_atom_site_type_symbol
_atom_site_fract_x
_atom_site_fract_y
_atom_site_fract_z
Ce1 Ce 0.250 0.250 0.000
Ce2 Ce 0.750 0.750 0.000
Ga1 Ga 0.057 0.557 0.861
Ga2 Ga 0.195 0.057 0.500
Ga3 Ga 0.305 0.805 0.861
Ga4 Ga 0.443 0.305 0.500
Ga5 Ga 0.557 0.695 0.500
Ga6 Ga 0.695 0.195 0.139
Ga7 Ga 0.805 0.943 0.500
Ga8 Ga 0.943 0.443 0.139
Co1 Co 0.000 0.500 0.500
Co2 Co 0.062 0.201 0.262
Co3 Co 0.062 0.789 0.500
Co4 Co 0.201 0.938 0.139
Co5 Co 0.211 0.711 0.273
Co6 Co 0.289 0.562 0.500
Co7 Co 0.299 0.438 0.738
Co8 Co 0.438 0.701 0.139
Co9 Co 0.438 0.938 0.727
Co10 Co 0.500 0.000 0.500
Co11 Co 0.562 0.062 0.273
Co12 Co 0.562 0.299 0.861
Co13 Co 0.701 0.562 0.262
Co14 Co 0.711 0.438 0.500
Co15 Co 0.789 0.289 0.727
Co16 Co 0.799 0.062 0.861
Co17 Co 0.938 0.211 0.500
Co18 Co 0.938 0.799 0.738
# Total DFT energy (no corrections), eV/atom: -6.089
# Formation energy, meV per atom: -230.4

=====

Entry 2:
# PBE BeH8N2F4, optimized geometry
data_BeH8N2F4
_symmetry_space_group_name_H-M 'P 1'
_symmetry_Int_Tables_number 1
_symmetry_space_group_name_Hall 'P 1'
_cell_length_a 15.298
_cell_length_b 5.987
_cell_length_c 10.772
_cell_angle_alpha 90.00
_cell_angle_beta 90.00
_cell_angle_gamma 90.00
loop_
_atom_site_label
_atom_site_type_symbol
_atom_site_fract_x
_atom_site_fract_y
_atom_site_fract_z
Be1 Be 0.001 0.241 0.000
Be2 Be 0.250 0.256 0.662
Be3 Be 0.250 0.756 0.162
Be4 Be 0.499 0.741 0.500
Be5 Be 0.501 0.259 0.000
Be6 Be 0.750 0.244 0.662
Be7 Be 0.750 0.744 0.162
Be8 Be 0.999 0.759 0.500
H1 H 0.033 0.587 0.157
H2 H 0.039 0.221 0.704
H3 H 0.045 0.858 0.109
H4 H 0.049 0.369 0.404
H5 H 0.065 0.781 0.260
H6 H 0.087 0.098 0.402
H7 H 0.093 0.716 0.729
H8 H 0.118 0.281 0.291
H9 H 0.133 0.759 0.873
H10 H 0.157 0.303 0.437
H11 H 0.166 0.921 0.755
H12 H 0.179 0.293 0.911
H13 H 0.200 0.648 0.763
H14 H 0.207 0.368 0.058
H15 H 0.214 0.798 0.453
H16 H 0.219 0.098 0.007
H17 H 0.281 0.598 0.507
H18 H 0.286 0.298 0.953
H19 H 0.293 0.868 0.558
H20 H 0.300 0.148 0.263
H21 H 0.321 0.793 0.411
H22 H 0.334 0.421 0.255
H23 H 0.343 0.803 0.937
H24 H 0.367 0.259 0.373
H25 H 0.382 0.781 0.791
H26 H 0.407 0.216 0.229
H27 H 0.413 0.598 0.902
H28 H 0.435 0.281 0.760
H29 H 0.451 0.869 0.904
H30 H 0.455 0.358 0.609
H31 H 0.461 0.721 0.204
H32 H 0.467 0.087 0.657
H33 H 0.533 0.913 0.157
H34 H 0.539 0.279 0.704
H35 H 0.545 0.642 0.109
H36 H 0.549 0.131 0.404
H37 H 0.565 0.719 0.260
H38 H 0.587 0.402 0.402
H39 H 0.593 0.784 0.729
H40 H 0.618 0.219 0.291
H41 H 0.633 0.741 0.873
H42 H 0.657 0.197 0.437
H43 H 0.666 0.579 0.755
H44 H 0.679 0.207 0.911
H45 H 0.700 0.852 0.763
H46 H 0.707 0.132 0.058
H47 H 0.714 0.702 0.453
H48 H 0.719 0.402 0.007
H49 H 0.781 0.902 0.507
H50 H 0.786 0.202 0.953
H51 H 0.793 0.632 0.558
H52 H 0.800 0.352 0.263
H53 H 0.821 0.707 0.411
H54 H 0.834 0.079 0.255
H55 H 0.843 0.697 0.937
H56 H 0.867 0.241 0.373
H57 H 0.882 0.719 0.791
H58 H 0.907 0.284 0.229
H59 H 0.913 0.902 0.902
H60 H 0.935 0.219 0.760
H61 H 0.951 0.631 0.904
H62 H 0.955 0.142 0.609
H63 H 0.961 0.779 0.204
H64 H 0.967 0.413 0.657
N1 N 0.026 0.753 0.183
N2 N 0.102 0.264 0.383
N3 N 0.149 0.759 0.780
N4 N 0.222 0.266 0.982
N5 N 0.278 0.766 0.482
N6 N 0.351 0.259 0.280
N7 N 0.398 0.764 0.883
N8 N 0.474 0.253 0.683
N9 N 0.526 0.747 0.183
N10 N 0.602 0.236 0.383
N11 N 0.649 0.741 0.780
N12 N 0.722 0.234 0.982
N13 N 0.778 0.734 0.482
N14 N 0.851 0.241 0.280
N15 N 0.898 0.736 0.883
N16 N 0.974 0.247 0.683
F1 F 0.002 0.704 0.643
F2 F 0.037 0.450 0.931
F3 F 0.056 0.024 0.980
F4 F 0.094 0.809 0.446
F5 F 0.154 0.206 0.710
F6 F 0.196 0.539 0.184
F7 F 0.216 0.965 0.233
F8 F 0.250 0.312 0.519
F9 F 0.250 0.812 0.019
F10 F 0.284 0.465 0.733
F11 F 0.304 0.039 0.684
F12 F 0.346 0.706 0.210
********
Solution =
Co2 Co 0.062 0.201 0.262